DC 欄位語言
dc.contributor.authorHer Lih Chiuehen_US
dc.contributor.authorDer-San Chuuen_US
dc.description.abstract本論文首先研究二維 t-J 模型的反鐵磁態之相圖,接著探討強磁場下量子點的基態性質。在t-J 模型中,我們利用奴隸玻色子(slave boson)的技巧來處理每個晶格點只能填一個電子的問題。在這方法下,以前的研究提出了一些可能的序參量來描述基態的性質,這些序參量包括了超導序(或共振價鍵序)與磁通量序等。這些序參量雖然能定性的解釋高溫超導的一些實驗結果,但確不能解釋在零電洞濃度附近高溫超導體的反鐵磁性。 我們除了考慮以上兩種序參量外,又考慮了反鐵磁序參量,並在平均場的近似下研究這些序參量隨溫度與電洞濃度的改變情形。我們發現這些序參量之間的關係是共存而非競爭的,而反鐵磁態的相變溫度對電洞濃度關係也與實驗相符合。 在量子點的問題中,我們首先注意到了電子在高磁場下的量子點中和它在量子霍爾效應中所處的情況之類似性,因而提出了 Skyrmion 當做量子點基態的試探波函數。 Skyrmion 的特性可由一拓樸不變量 : 繞旋數來描述,我們試了各種繞旋數的Skyrmion ,並以最低能量者當成基態,進而得知基態如何隨一些實驗參數,如磁場、侷限位能而改變。這些試探波函數的能量與一些理論結果比教起來是相當好的,而我們得到的化學位能對磁場的關係圖也與實驗吻合,並能解釋最近實驗所觀測到的新相變。zh_TW
A plane-wave DFT calculation with PBE-GGA was carried out for TmNb6Ga8 after structural relaxation.

a = 6.8210 Å, b = 6.8210 Å, c = 6.8210 Å
α = 70.31°, β = 70.31°, γ = 70.31°
Fractional positions:
Tm1 0.0000 0.0000 0.0000
Nb1 0.6002 0.3662 0.8313
Nb2 0.3662 0.8313 0.6002
Nb3 0.8313 0.6002 0.3662
Nb4 0.3998 0.6338 0.1687
Nb5 0.6338 0.1687 0.3998
Nb6 0.1687 0.3998 0.6338
Ga1 0.7276 0.7276 0.7276
Ga2 0.2724 0.2724 0.2724
Ga3 0.5689 0.9455 0.1643
Ga4 0.9455 0.1643 0.5689
Ga5 0.1643 0.5689 0.9455
Ga6 0.4311 0.0545 0.8357
Ga7 0.0545 0.8357 0.4311
Ga8 0.8357 0.4311 0.0545

Symmetry ... R-3



A plane-wave DFT calculation with PBE-GGA was carried out for Tm2Nb3Ga4 after structural relaxation.

a = 7.0773 Å, b = 7.3072 Å, c = 7.1293 Å
α = 90.00°, β = 90.00°, γ = 109.56°
Fractional positions:
Tm1 0.5646 0.1907 0.3402
Tm2 0.9354 0.8093 0.8402
Tm3 0.4354 0.8093 0.6598
Tm4 0.0646 0.1907 0.1598
Nb1 0.0000 0.5000 0.5000
Nb2 0.5000 0.5000 0.0000
Nb3 0.7477 0.2603 0.8129
Nb4 0.7523 0.7397 0.3129
Nb5 0.2523 0.7397 0.1871
Nb6 0.2477 0.2603 0.6871
Ga1 0.8654 0.0785 0.5394
Ga2 0.6346 0.9215 0.0394
Ga3 0.1346 0.9215 0.4606
Ga4 0.3654 0.0785 0.9606
Ga5 0.8653 0.4844 0.1264
Ga6 0.6347 0.5156 0.6264
Ga7 0.1347 0.5156 0.8736
Ga8 0.3653 0.4844 0.3736

Symmetry ... P2_1/c



A plane-wave DFT calculation with PBE-GGA was carried out for TmNb4Ga4 after structural relaxation.

a = 5.2026 Å, b = 8.0198 Å, c = 8.0198 Å
α = 90.00°, β = 90.00°, γ = 90.00°
Fractional positions:
Tm1 0.0000 0.0000 0.0000
Tm2 0.5000 0.5000 0.5000
Nb1 0.3820 0.4436 0.8525
Nb2 0.8820 0.6475 0.9436
Nb3 0.3820 0.5564 0.1475
Nb4 0.1180 0.0564 0.6475
Nb5 0.6180 0.8525 0.5564
Nb6 0.1180 0.9436 0.3525
Nb7 0.8820 0.3525 0.0564
Nb8 0.6180 0.1475 0.4436
Ga1 0.5876 0.8738 0.2080
Ga2 0.5876 0.1262 0.7920
Ga3 0.0876 0.7080 0.6262
Ga4 0.9124 0.3738 0.7080
Ga5 0.9124 0.6262 0.2920
Ga6 0.4124 0.2080 0.1262
Ga7 0.4124 0.7920 0.8738
Ga8 0.0876 0.2920 0.3738

Symmetry ... P4_2/n



A plane-wave DFT calculation with PBE-GGA was carried out for TmNb2Ga8 after structural relaxation.

a = 5.2668 Å, b = 7.1547 Å, c = 6.9687 Å
α = 59.11°, β = 80.63°, γ = 71.51°
Fractional positions:
Tm1 0.5000 0.0000 0.0000
Nb1 0.0000 0.2884 0.4232
Nb2 0.0000 0.7116 0.5768
Ga1 0.8620 0.1079 0.2098
Ga2 0.8620 0.3178 0.7902
Ga3 0.2629 0.4215 0.0000
Ga4 0.5000 0.7412 0.5176
Ga5 0.5000 0.2588 0.4824
Ga6 0.7371 0.5785 0.0000
Ga7 0.1380 0.6822 0.2098
Ga8 0.1380 0.8921 0.7902

Symmetry ... C2/m



no.,formation energy (eV per atom)
1,-0.163
2,-0.454
3,-0.082
4,-0.093
dc.description.abstractIn this dissertation, we will study the antiferromagnetic phase diagram of t-J model and then study the ground state properties of a quantum dot in high magnetic field. We use the technique of slave boson to cope with the no double occupancy constraint in t-J model. There are some researchers pointed out that some order parameters such as superconductivity order (or resonance valence bond order) and flux phase order that can characterize the properties of the ground state of t-J model. Although these order parameters can explain some experimental results of high temperature superconductivity qualitatively, they fail in the explanation of the antiferromagnetic properties around zero doping. In addition to the two order parameters, we take the antiferromagnetic order parameter into consideration and study the relationships between theses order parameters and temperature or doping concentration. We found that these order parameters behave cooperatively rather than competitively and the relationship of Neel temperature vs. doping concentration is consistent with experiments. In the study of quantum dots, we note that the electrons in the environments quantum dots under high magnetic field are similar to the electrons in the environments of quantum Hall effect. Therefore we propose the skyrmion as the trial wave finction as the ground state of quantum dot in high magnetic field. A skyrmion is characterized by a topological conserved quantitity, winding number, and therefore we try skyrmions with various winding numbers and take the one with the smallest winding number as the ground state. The properties of skyrmions that changed with magnetic field and confining potential are obtained. The energies of our trial wave functions are lower than many previous works. The phase diagram of chemical potential vs. magnetic field is consistent with experimental results and it can explain the new found ground states transitions observed in recent experiment.en_US
dc.subjectt-J 模型zh_TW
dc.subjectt-J modelen_US
dc.subjecthigh temperature superconductivityen_US
dc.subjectquantum doten_US
dc.subjectquantum Hall effecten_US
dc.subjectStrongly correlated electronic systemen_US
dc.subjectCoulomb blockadeen_US
**Unrelated to this entry: materials data**
-- begin --
Record 1
Here is Ba2Cu2Br after structural relaxation from Alexandria. Energies are from PBE-GGA.

```
5
Lattice="-3.768 -2.210 -0.929 3.794 -2.249 0.701 -0.665 1.759 9.244" Properties=species:S:1:pos:R:3 pbc="T T T"
Ba 1.114 -0.354 7.063
Ba -1.753 -2.345 1.953
Cu -0.959 -0.232 4.441
Cu 0.320 -2.467 4.575
Br 0.000 0.000 0.000
```

Summary:
ρ (g/cm3): 5.10
Energy above the lowest structure with this stoichiometry (eV/atom): 0.000
Formation energy (no corrections) (eV/f.u.): -3.6
Magnetic moment (μB/atom): 0.00

Record 2
Here is Ce4Cl3F7 after structural relaxation from Alexandria. Energies are from PBE-GGA.

```
14
Lattice="-2.643 2.961 0.896 -7.222 -3.744 0.308 -1.796 -1.207 7.930" Properties=species:S:1:pos:R:3 pbc="T T T"
Ce -9.435 -1.082 3.463
Ce -5.317 0.071 2.560
Ce -2.227 -0.908 5.672
Ce -6.344 -2.060 6.574
F -3.704 0.935 4.463
F -4.726 -1.711 0.955
F 0.000 0.000 0.000
F -7.957 -2.924 4.672
F -7.123 -1.548 2.581
F -4.538 -0.442 6.553
F -6.936 -0.279 8.180
Cl -2.465 0.037 1.844
Cl -4.509 -2.475 4.119
Cl -9.196 -2.027 7.290
```

Summary:
ρ (g/cm3): 5.37
Formation energy (no corrections) (eV/f.u.): -45.3
Magnetic moment (μB/atom): 0.42

Record 3
Here is H3PbS after structural relaxation from Alexandria. Energies are from PBE-GGA.

```
5
Lattice="3.824 0.000 0.000 0.000 3.824 0.000 0.000 0.000 3.824" Properties=species:S:1:pos:R:3 pbc="T T T"
H 0.000 0.000 1.912
H 1.912 0.000 0.000
H 0.000 1.912 0.000
S 0.000 0.000 0.000
Pb 1.912 1.912 1.912
```

Summary:
ρ (g/cm3): 7.20
Energy above the lowest structure with this stoichiometry (eV/atom): 0.000
Magnetic moment (μB/atom): 0.00

Record 4
Here is PaReTe2 after structural relaxation from Alexandria. Energies are from PBE-GGA.

```
4
Lattice="3.282 0.000 0.000 1.641 2.843 0.000 1.641 0.948 10.155" Properties=species:S:1:pos:R:3 pbc="T T T"
Te 1.641 0.948 7.590
Te 4.924 2.843 2.565
Re 0.000 0.000 0.000
Pa 3.282 1.895 5.077
```

Summary:
ρ (g/cm3): 11.78
Formation energy (no corrections) (eV/f.u.): 2.2
Magnetic moment (μB/atom): 0.00

~~~~~

Compound: SiH12N4F4
Source: the Alexandria database
Functional: PBEsol
Structure: optimized geometry

```
SiH12N4F4
1.0
5.306 -0.085 0.000
-0.753 5.253 0.000
0.000 0.000 12.646
N F H Si
8 8 24 2
Direct
0.608 0.392 0.196
0.392 0.608 0.804
0.314 0.686 0.589
0.186 0.814 0.089
0.892 0.108 0.696
0.108 0.892 0.304
0.686 0.314 0.411
0.814 0.186 0.911
0.588 0.764 0.422
0.912 0.736 0.922
0.264 0.088 0.922
0.736 0.912 0.078
0.236 0.412 0.422
0.412 0.236 0.578
0.764 0.588 0.578
0.088 0.264 0.078
0.640 0.120 0.423
0.860 0.380 0.923
0.120 0.640 0.577
0.620 0.140 0.923
0.924 0.837 0.331
0.663 0.576 0.169
0.380 0.860 0.077
0.424 0.337 0.169
0.837 0.924 0.669
0.219 0.781 0.343
0.360 0.880 0.577
0.576 0.663 0.831
0.650 0.350 0.328
0.850 0.150 0.828
0.281 0.719 0.843
0.140 0.620 0.077
0.076 0.163 0.669
0.150 0.850 0.172
0.163 0.076 0.331
0.350 0.650 0.672
0.337 0.424 0.831
0.781 0.219 0.657
0.880 0.360 0.423
0.719 0.281 0.157
0.000 0.000 0.000
0.500 0.500 0.500
```
-- stop --
dc.titlet-J 模型相變之研究與高磁場下量子點特性之探討zh_TW
dc.titleStudy on the phase diagram of t-J model and the characterization of quantum dots in high magnetic fielden_US